Water and wastewater operator certification

Regulated water and wastewater facilities in Alberta must have certified operators.


The Water and Wastewater Operator Certification Program was developed to ensure proper operation and maintenance of water and wastewater facilities, and to protect the health of citizens and the environment. In line with that mandate the Operator Certification Program with its stakeholders devised a strategic plan that will result in timely updates to the program.

Important dates

********
(1)
C30H66ClN3NbO6P | ωB97M-V with the def2-TZVPD basis set

Last column: Löwdin charge in e.
Cartesian coordinates (Å):
C  3.96  -1.33  1.54  -0.183
C  5.48  -0.98  1.46  -0.539
P  5.88  0.55  0.44  0.660
C  4.82  0.39  -1.09  -0.412
Nb  5.27  2.68  1.76  1.435
Cl  5.31  1.42  3.94  -0.110
C  5.26  3.76  -0.21  -0.343
C  4.68  5.20  -0.15  -0.321
C  3.14  5.18  -0.16  -0.235
C  2.53  6.57  0.15  -0.220
C  1.13  6.76  -0.45  -0.221
C  0.07  5.73  0.03  -0.201
C  0.24  5.26  1.49  -0.160
C  -0.81  4.17  1.79  -0.161
O  -2.13  4.53  1.29  -0.037
C  -2.94  3.44  1.22  -0.553
C  -3.60  3.13  -0.12  0.013
O  -3.14  2.77  2.17  0.116
C  7.52  3.00  2.08  -0.384
C  8.04  4.40  1.59  -0.475
C  8.70  5.10  2.83  -0.120
C  9.24  4.13  0.60  -0.112
O  4.71  4.42  2.79  -0.381
N  5.48  4.72  3.85  -0.184
O  5.11  5.76  4.32  -0.059
C  3.10  2.03  1.53  -0.864
O  2.53  1.62  2.55  -0.172
O  2.46  2.11  0.44  -0.174
H  3.81  -2.36  1.19  0.046
H  3.67  -1.33  2.60  0.055
H  3.31  -0.65  0.98  0.035
H  5.97  -1.81  0.92  0.028
H  5.93  -0.93  2.46  0.008
H  5.09  -0.58  -1.56  0.005
H  3.74  0.34  -0.88  0.000
H  5.05  1.17  -1.82  0.001
H  6.30  3.80  -0.60  0.034
H  4.67  3.20  -0.95  0.029
H  4.99  5.74  -1.07  0.094
H  5.05  5.81  0.69  0.081
H  2.75  4.72  -1.08  0.122
H  2.86  4.53  0.68  0.062
H  2.53  6.73  1.23  0.112
H  3.19  7.32  -0.33  0.102
H  1.12  6.77  -1.56  0.100
H  0.77  7.76  -0.14  0.095
H  -0.91  6.23  -0.02  0.097
H  -0.02  4.88  -0.66  0.116
H  1.20  4.77  1.70  0.106
H  0.14  6.09  2.21  0.119
H  -0.45  3.23  1.33  0.137
H  -0.84  3.97  2.87  0.127
H  -4.17  4.01  -0.43  0.083
H  -4.29  2.30  0.07  0.070
H  -2.88  2.81  -0.88  0.089
H  8.07  2.18  1.59  -0.011
H  7.72  2.89  3.16  0.006
H  7.27  5.04  1.14  0.089
H  9.34  5.92  2.45  0.053
H  9.37  4.38  3.32  0.072
H  7.96  5.50  3.53  0.050
H  8.88  3.94  -0.42  0.064
H  9.79  3.26  0.98  0.065
H  9.93  4.98  0.66  0.049
C  -3.05  -0.76  0.30  -0.070
C  -4.21  -1.37  -0.48  -0.272
N  -4.04  -1.27  -1.92  -0.195
C  -5.26  -1.57  -2.66  -0.255
C  -5.82  -3.00  -2.56  -0.094
C  -2.82  -1.85  -2.46  -0.242
C  -2.53  -3.32  -2.18  -0.084
H  -2.87  0.27  0.00  0.065
H  -3.29  -0.76  1.37  0.081
H  -2.13  -1.33  0.18  0.074
H  -5.12  -0.83  -0.20  0.115
H  -4.36  -2.41  -0.15  0.093
H  -5.10  -1.33  -3.72  0.109
H  -6.03  -0.88  -2.32  0.107
H  -5.22  -3.71  -3.14  0.050
H  -6.83  -3.02  -2.98  0.070
H  -5.89  -3.34  -1.53  0.047
H  -1.98  -1.26  -2.08  0.109
H  -2.80  -1.68  -3.54  0.113
H  -2.70  -3.59  -1.13  0.065
H  -1.49  -3.54  -2.41  0.075
H  -3.14  -3.98  -2.80  0.048
C  -5.61  -10.45  -0.94  -0.095
C  -5.58  -8.98  -0.53  -0.276
N  -5.85  -8.08  -1.63  -0.197
C  -5.54  -6.69  -1.32  -0.243
C  -6.34  -6.00  -0.22  -0.083
C  -7.10  -8.29  -2.34  -0.250
C  -8.40  -8.25  -1.54  -0.087
H  -4.94  -10.63  -1.78  0.079
H  -5.28  -11.07  -0.11  0.070
H  -6.61  -10.78  -1.22  0.061
H  -4.58  -8.77  -0.15  0.120
H  -6.28  -8.84  0.31  0.100
H  -5.61  -6.09  -2.24  0.101
********

  • July 1, 2024 – Current year renewal period opens.
  • July 2024 – Release of updated ‘Need to Know’.
  • December 31, 2024 – Current year renewal deadline.
  • 2025 to 2026 – Certification Schedule.


The Environmental Protection and Enhancement Act requires that specified water and wastewater facilities in Alberta have certified operators to supervise and/or carry out day-to-day operations. Each facility's operating approval specifies the certified operator requirements.

Policies and guidelines


The Water and Wastewater Operator Certification Program has 5 levels of certification:

  • Small Systems, Level I, Level II, Level III and Level IV.
  • Each level of certification has different education, training, experience, and examination requirements.
  • The certification program requires operators have post-secondary education to meet the requirements for Levels III and IV certification.
  • Substitutions of applicable approved experience or Continuing Education Units (CEU) can be used to gain the equivalent of post-secondary education.

Certification exam

To qualify for writing certification exams the applicant must meet minimum education, experience, and training requirements for each level. Substitutions, with limitations, are allowed for both experience and education in Levels II, III and IV. See Water and Wastewater Operators' Certification Guidelines for further details.

  • A minimum of 3 months must elapse between writing and passing one level of certification exam and applying to write the next level of certification.
  • Operators may qualify for certification at one level above the class of the facility where operating.
  • DRC experience begins after obtaining Level II certification.

All certification exams will be approved or denied with the decision communicated approximately 2 weeks prior to the opening of the on-line exam window. Check your C365 operator portal during this time for updates.

Once approved, a follow-up email from AMP/PSI will be sent within a couple of business days with instructions on how to schedule and pay for an exam. Once an exam window opens, it will remain open for 60 days so an operator can schedule and write their exam at one of the testing locations across the province.

If an examinee misses the scheduled date, contact us, you will be placed into the next testing window, if that is your desire. A confirmation email will also be sent from AMP/PSI closer to the beginning of the next testing window date.

Exam periods and application cut off dates can be found by clicking Certification Calendar, under important dates.

If you are not yet able to meet the requirements for Level I certification but would like to challenge the Level I exam and you are a resident of Alberta, go to our exam provider to create an account and schedule your exam.

Successfully challenging the exam does not guarantee certification. Operators are still required to meet all conditions for certification found in the Water and Wastewater Operators' Certification Guidelines within 3 years of successfully passing the exam.

After meeting the employment criteria, request a C365 Operator Certification Portal account. Send us an email with your legal name, a personal email address (non work) and the name of your current employer.

Certification renewal

The Water and Wastewater Operator Certificate of Qualification must be renewed every 3 years to ensure that the operator continues to meet certification program requirements.

  • Current year renewal period starts on July 1.
  • Current year renewal deadline December 31.
  • Discipline specific CEU requirements apply (refer to Water and Wastewater Operator Guidelines) All CEUs must be obtained in the renewal period.
  • Renewal fee paid through your C365 operator portal.

Operators are responsible for maintaining proof of completion of their education, continuing education units, employment and upload the required documentation in Compliance 365 for approval before applying for certification or renewal.

Certificate reactivation

If a Water and Wastewater Certificate expires and it is later required, this triggers a reactivation. The requirements outlined in the s must be met to reactivate a certificate.

Operators pay a non-refundable fee of $130 for each discipline reactivated beginning July 1, 2021.

Failure to renew certification will result in the certificate becoming inactive. If a Water and Wastewater Certificate expires and it is later required, this triggers a reactivation. The requirements outlined in the Water and Wastewater Operators’ Certification Guidelines must be met to reactivate a certificate.

  • Reactivation is possible if employed in a classified water or wastewater facility.
  • Reactivation fee applies to each certificate held.

Continuing Education Units (CEU)

An operator may apply for CEU evaluation in C365 of any course they do not already see listed under training. A training provider may also submit courses for CEU evaluation, contact waterandwastewateroperatorcert@gov.ab.ca to activate an account in the Water and Wastewater Operator Certification Portal.

Policy for Continuing Education Unit Evaluation and Credit

One CEU) is defined as 10 contact hours of participation in an organized continuing education experience under responsible sponsorship, capable direction, and qualified instruction.

(Here the page breaks off for quantum chemistry results)
~~~
<A>
A cluster of 8 separate species, C8H32O8 in total. Source: the Open Molecules 2025 dataset; level of theory: the ωB97M-V functional and the def2-TZVPD basis.

Cartesian coordinates (Å):
C1 0.02881 2.34393 2.18077
O1 -0.56740 1.56084 3.20468
H1 0.32877 1.73203 1.32116
H2 -0.64841 3.13051 1.83546
H3 0.97069 2.78472 2.50154
H4 -1.36521 1.17654 2.83306
C2 -1.99585 -3.72683 0.66762
O2 -2.74813 -4.71250 -0.01846
H5 -1.84942 -3.91122 1.73272
H6 -1.01785 -3.62512 0.19432
H7 -2.49671 -2.75857 0.54495
H8 -3.16420 -5.30388 0.61153
C3 -0.25515 -0.30349 -0.61118
O3 0.44975 -1.35661 -0.00041
H9 -1.12381 0.05865 -0.04691
H10 0.38028 0.59097 -0.66421
H11 -0.49603 -0.58086 -1.63615
H12 0.31017 -1.38025 0.95406
C4 1.51520 4.68020 -0.66543
O4 0.94132 3.46253 -1.16255
H13 1.37168 5.47610 -1.40611
H14 0.96223 5.02614 0.21167
H15 2.57408 4.57892 -0.45812
H16 0.00929 3.50744 -0.93170
C5 -3.52202 1.31445 -2.61077
O5 -2.25674 1.55912 -2.02477
H17 -4.23732 0.90953 -1.88904
H18 -3.93939 2.25965 -2.95917
H19 -3.45369 0.65935 -3.48418
H20 -2.03926 0.79806 -1.48054
C6 0.53073 -1.67382 4.15049
O6 0.93697 -1.40155 2.80240
H21 1.33204 -2.16587 4.70000
H22 0.28000 -0.72628 4.62258
H23 -0.36263 -2.30306 4.21016
H24 1.63191 -2.03159 2.58740
C7 0.53015 -3.10381 -3.00800
O7 1.58302 -2.83392 -2.09105
H25 -0.43801 -2.93232 -2.52828
H26 0.63607 -2.51157 -3.91678
H27 0.57506 -4.16687 -3.25000
H28 1.24513 -2.30872 -1.35498
C8 3.21304 1.06599 -0.44513
O8 3.52805 2.26970 -1.09625
H29 4.12405 0.58068 -0.09951
H30 2.58302 1.19641 0.44695
H31 2.69319 0.37992 -1.12438
H32 2.71252 2.71628 -1.34947

Properties
Spin multiplicity: 1
E_HOMO (eV): -9.68
Gap between HOMO and LUMO (eV): 9.9
LUMO energy (Ha): 0.009



<B>
A cluster of 8 separate species, C8H32O8 in total. Source: the Open Molecules 2025 dataset; level of theory: the ωB97M-V functional and the def2-TZVPD basis.

Cartesian coordinates (Å):
C1 0.00331 2.38923 -4.09104
O1 -0.13977 1.32970 -3.22760
H1 0.88484 2.32403 -4.58270
H2 -0.15647 3.27180 -3.55723
H3 -0.66568 2.31379 -4.98740
H4 0.31823 0.57171 -3.67444
C2 -0.40621 -0.40810 -0.07937
O2 -0.99801 0.95660 0.01817
H5 0.55281 -0.33691 -0.18183
H6 -0.90227 -1.06175 -0.69039
H7 -0.37715 -0.83550 0.95334
H8 -0.77825 1.49870 -0.77889
C3 -4.04929 -0.57346 0.60780
O3 -3.63058 0.86812 0.75016
H9 -4.70864 -0.77528 1.28321
H10 -3.18068 -1.19507 0.38074
H11 -4.63327 -0.66019 -0.30842
H12 -2.76188 0.97312 0.48505
C4 2.52206 -0.59339 -2.37900
O4 3.48487 -1.56810 -2.68382
H13 3.05163 0.27323 -2.61631
H14 2.49108 -0.63214 -1.36060
H15 1.62222 -0.88062 -2.80703
H16 4.29485 -1.08171 -3.03598
C5 -2.74814 2.90141 3.67802
O5 -2.34245 1.82063 2.77766
H17 -1.83279 3.29805 3.85220
H18 -3.28204 2.32547 4.56674
H19 -3.41799 3.37627 3.07948
H20 -3.05671 1.36970 2.13879
C6 -0.69329 -2.59414 3.01658
O6 -1.91846 -2.56420 2.42745
H21 -0.23241 -1.69736 2.91322
H22 -0.36335 -3.43124 2.66125
H23 -1.01569 -2.54206 4.11638
H24 -2.30996 -1.82265 2.54563
C7 3.85028 2.32828 0.28520
O7 2.67362 2.35150 0.99256
~~~

  • An approved operator training course of 36 contact hours = 3.6 CEUs.
  • Courses less than 3 hours in duration will not be considered for CEUs.  


Alberta is required to issue the same type and level of drinking water and wastewater certificates issued in other provinces and territories if the certificate is in good standing.

Certificates will be issued at a comparable level, without examination, to any person who holds valid operator certification from another province or equivalent certifying authority, operating in an Alberta Water or Wastewater facility requiring certified operators.

Operator certification portal

Water and Wastewater Operators are required to have an account in the Water and Wastewater Operator Certification Portal, known as Compliance365, to apply for certification exams, renewals, training or course CEUs and reciprocity.

To request an account, if you are not yet a certified operator in Alberta and want to become certified, or transfer your certification from another province by reciprocity, contact us. 

Provide your legal name, a personal email address, the name of your current employer and a copy of your official job description.

  • Activate your account as soon as you receive your activation link.
  • It is the responsibility of the operators to maintain their personal account in Compliance 365.
  • Must be employed in an Alberta Water or Wastewater facility to get an account.

Contractor form

Attach all forms to your application in the Operator Certification Portal.



Connect with the Water and Wastewater Operator Certification Program:

Email: waterandwastewateroperatorcert@gov.ab.ca
